-- begin --
9 unconnected molecules or ions with the total composition C36H54O27, computed with wB97M-V/def2-TZVPD.

```
117
Properties=species:S:1:pos:R:3:forces:R:3
C 11.989 -25.669 -4.493 -0.05 -0.13 -0.51
C 13.436 -25.625 -4.960 -0.52 -0.21 0.34
C 14.489 -26.194 -3.992 -0.32 1.26 -0.18
O 15.170 -27.177 -4.740 0.50 -0.61 -0.39
C 14.656 -27.291 -5.982 -1.02 0.24 0.76
O 14.988 -28.054 -6.824 0.63 -0.30 -0.31
O 13.585 -26.478 -6.109 0.06 0.21 -0.26
H 11.703 -26.609 -4.021 0.27 -0.11 0.00
H 11.393 -25.574 -5.404 -0.19 0.14 0.14
H 11.714 -24.861 -3.816 0.32 -0.11 -0.13
H 13.677 -24.614 -5.290 0.14 0.00 0.07
H 14.024 -26.604 -3.097 0.18 -0.20 -0.02
H 15.185 -25.390 -3.748 0.08 -0.27 0.29
C 6.474 -26.349 1.780 -1.18 0.68 -0.80
C 7.670 -25.504 1.370 0.10 -1.39 0.95
C 7.867 -24.161 2.056 0.22 0.31 0.23
O 9.206 -24.207 2.595 -0.16 -0.14 -0.15
C 9.597 -25.504 2.655 0.24 0.47 -0.16
O 10.539 -25.902 3.271 -0.19 0.06 -0.15
O 8.784 -26.253 1.909 0.41 -0.61 -0.30
H 6.440 -26.600 2.837 0.24 0.07 0.02
H 6.404 -27.247 1.166 0.42 -0.17 0.22
H 5.539 -25.833 1.522 0.08 0.21 0.22
H 7.746 -25.509 0.282 0.27 0.40 0.06
H 7.229 -24.013 2.928 -0.39 0.02 -0.28
H 7.786 -23.329 1.365 0.05 0.10 0.14
C 14.467 -20.511 -6.412 0.68 -0.19 -0.28
C 15.105 -21.493 -7.404 -0.93 1.30 0.72
C 16.629 -21.347 -7.544 -0.64 -0.41 -1.11
O 17.077 -22.671 -7.269 0.88 0.14 -0.19
C 16.081 -23.442 -6.787 0.02 1.06 0.43
O 16.238 -24.459 -6.212 0.04 -0.99 -0.01
O 14.906 -22.813 -6.946 -0.14 -0.75 0.33
H 13.396 -20.689 -6.344 -0.03 0.20 -0.01
H 14.707 -19.498 -6.746 -0.37 0.08 -0.11
H 14.922 -20.600 -5.423 -0.07 -0.24 0.04
H 14.539 -21.444 -8.334 0.42 0.28 -0.27
H 17.160 -20.625 -6.925 -0.37 -0.12 0.49
H 16.832 -21.055 -8.577 0.38 -0.35 -0.01
C 16.416 -21.510 -2.655 -1.18 0.54 -0.43
C 16.472 -22.708 -1.735 0.01 0.62 0.04
C 16.286 -22.350 -0.247 0.53 -0.60 0.30
O 15.142 -23.087 0.167 -0.13 0.30 0.09
C 14.537 -23.634 -0.897 -0.61 0.32 0.46
O 13.461 -24.136 -0.863 0.03 -0.33 -0.23
O 15.274 -23.460 -1.999 0.77 -0.38 -0.80
H 17.261 -20.824 -2.685 0.17 -0.19 0.49
H 15.502 -20.983 -2.354 0.25 0.40 -0.01
H 16.202 -21.776 -3.693 0.27 -0.48 0.06
H 17.395 -23.261 -1.911 -0.38 -0.57 0.01
H 16.127 -21.282 -0.096 -0.03 -0.04 0.08
H 17.083 -22.740 0.386 0.28 0.45 -0.15
C 15.520 -15.944 -5.168 0.19 1.10 -0.96
C 15.775 -17.239 -4.475 -1.06 -0.43 0.29
C 16.390 -17.156 -3.097 0.20 1.01 0.27
O 15.506 -17.836 -2.223 0.18 -0.91 0.25
C 14.465 -18.330 -2.910 -0.62 1.07 -0.14
O 13.565 -18.962 -2.455 0.33 -0.30 0.08
O 14.484 -17.839 -4.170 0.43 -0.69 -0.56
H 14.935 -15.188 -4.639 0.08 -0.40 0.62
H 14.973 -16.054 -6.108 0.17 -0.42 -0.02
H 16.466 -15.458 -5.424 0.03 -0.11 0.01
H 16.383 -17.915 -5.082 -0.43 -0.08 -0.26
H 16.383 -16.110 -2.780 0.56 -0.15 0.15
H 17.371 -17.627 -3.084 0.04 0.23 0.34
C 11.407 -25.872 -9.131 -0.66 -0.61 0.09
C 12.371 -24.780 -8.765 -0.41 1.32 0.73
C 12.539 -23.683 -9.846 0.34 -2.06 -0.76
O 12.313 -22.455 -9.200 0.31 0.51 -1.02
C 11.675 -22.673 -8.039 0.89 -0.72 0.59
O 11.214 -21.816 -7.361 -0.31 0.49 0.21
O 11.788 -23.957 -7.703 -1.15 -0.25 0.30
H 11.742 -26.576 -9.895 0.55 0.15 0.10
H 10.459 -25.497 -9.525 0.11 0.42 0.13
H 11.153 -26.458 -8.247 0.18 -0.02 0.02
H 13.251 -25.122 -8.221 0.37 -0.36 -0.88
H 11.818 -23.870 -10.645 -0.40 0.36 0.21
H 13.488 -23.809 -10.370 0.36 0.81 0.47
C 5.946 -22.033 -1.033 -0.32 -0.20 -0.87
C 6.033 -20.883 -0.034 0.17 -2.02 -0.56
C 4.744 -20.075 0.102 0.00 -0.31 -0.46
O 4.430 -20.166 1.495 -0.06 0.98 -0.36
C 5.263 -21.024 2.103 0.23 0.10 0.94
O 5.220 -21.289 3.265 -0.14 -0.10 -0.27
O 6.165 -21.508 1.246 0.09 0.05 0.32
H 6.159 -21.705 -2.054 0.10 0.10 0.08
H 4.959 -22.502 -1.083 -0.16 0.31 0.30
H 6.617 -22.864 -0.819 0.39 0.36 0.19
H 6.977 -20.361 -0.205 -0.36 0.53 0.02
H 3.887 -20.517 -0.410 0.27 -0.18 -0.24
H 4.888 -19.084 -0.331 -0.21 0.35 0.84
C 11.467 -17.895 -4.785 0.06 0.92 0.43
C 9.959 -17.947 -4.973 0.63 -0.21 -0.30
C 9.543 -17.672 -6.414 -0.29 -0.21 -0.40
O 8.596 -18.709 -6.708 0.09 0.41 -0.28
C 8.722 -19.694 -5.807 -0.94 -0.01 0.47
-- stop --
Start at the top of the listing further above and set down each line, ending with the one that has "-0.12 0.49".
9 unconnected molecules or ions with the total composition C36H54O27, computed with wB97M-V/def2-TZVPD.

```
117
Properties=species:S:1:pos:R:3:forces:R:3
C 11.989 -25.669 -4.493 -0.05 -0.13 -0.51
C 13.436 -25.625 -4.960 -0.52 -0.21 0.34
C 14.489 -26.194 -3.992 -0.32 1.26 -0.18
O 15.170 -27.177 -4.740 0.50 -0.61 -0.39
C 14.656 -27.291 -5.982 -1.02 0.24 0.76
O 14.988 -28.054 -6.824 0.63 -0.30 -0.31
O 13.585 -26.478 -6.109 0.06 0.21 -0.26
H 11.703 -26.609 -4.021 0.27 -0.11 0.00
H 11.393 -25.574 -5.404 -0.19 0.14 0.14
H 11.714 -24.861 -3.816 0.32 -0.11 -0.13
H 13.677 -24.614 -5.290 0.14 0.00 0.07
H 14.024 -26.604 -3.097 0.18 -0.20 -0.02
H 15.185 -25.390 -3.748 0.08 -0.27 0.29
C 6.474 -26.349 1.780 -1.18 0.68 -0.80
C 7.670 -25.504 1.370 0.10 -1.39 0.95
C 7.867 -24.161 2.056 0.22 0.31 0.23
O 9.206 -24.207 2.595 -0.16 -0.14 -0.15
C 9.597 -25.504 2.655 0.24 0.47 -0.16
O 10.539 -25.902 3.271 -0.19 0.06 -0.15
O 8.784 -26.253 1.909 0.41 -0.61 -0.30
H 6.440 -26.600 2.837 0.24 0.07 0.02
H 6.404 -27.247 1.166 0.42 -0.17 0.22
H 5.539 -25.833 1.522 0.08 0.21 0.22
H 7.746 -25.509 0.282 0.27 0.40 0.06
H 7.229 -24.013 2.928 -0.39 0.02 -0.28
H 7.786 -23.329 1.365 0.05 0.10 0.14
C 14.467 -20.511 -6.412 0.68 -0.19 -0.28
C 15.105 -21.493 -7.404 -0.93 1.30 0.72
C 16.629 -21.347 -7.544 -0.64 -0.41 -1.11
O 17.077 -22.671 -7.269 0.88 0.14 -0.19
C 16.081 -23.442 -6.787 0.02 1.06 0.43
O 16.238 -24.459 -6.212 0.04 -0.99 -0.01
O 14.906 -22.813 -6.946 -0.14 -0.75 0.33
H 13.396 -20.689 -6.344 -0.03 0.20 -0.01
H 14.707 -19.498 -6.746 -0.37 0.08 -0.11
H 14.922 -20.600 -5.423 -0.07 -0.24 0.04
H 14.539 -21.444 -8.334 0.42 0.28 -0.27
H 17.160 -20.625 -6.925 -0.37 -0.12 0.49